Protecting religious facilities and the current analysis re the fatal shootings at Kansas Jewish Centers

Indicators screenshot

The shootings last week remind us that we are vulnerable on a number of fronts. We thank our partners at the US Department of Homeland Security (DHS) for keeping us informed, with first rate analyses and guidance.

  1. Remember, one of the most important recommendations is to establish a close, working relationship with your local police authorities. They should know about your services, school schedules, special meetings, etc. 
  2. DHS just published: Potential Indicators, Common Vulnerabilities, and Protective Measures: Religious Facilities. This is an new (April 2014) and excellent overview of facility security and emergency planning. It can be used as the agenda for your security/building committee work to plan for the unexpected. There is also a good table with indicators of suspicious activity. Please review it and act accordingly. 
  3. Law enforcement and Homeland Security leaders recommend that organizations train their staffs and constituencies in security awareness, especially the signs of suspicious behavior — i.e., it just doesn’t look right. If you see something, say something: in New York City-1 (888) NYC-SAFE or elsewhere in NY
  4. If you have any questions you can contact the  JCRC here.
  5. Re the shootings. Experts continue to analyze the the 13 April 2014 shootings at Overland Park, Kansas Jewish Community and Retirement Centers, allegedly by white supremacist extremist Frazier Glen Miller, Jr. The FBI and DHS have medium confidence that Miller acted alone. There were no known indicators of imminent violence on the day of the shooting, and there are no suspected co-conspirators at this time. The FBI and DHS continue to assess violence by lone offenders and small cells likely will remain the primary domestic terrorist threat due to the greater potential for operational security afforded to those who act independently of larger groups.
  6. Signs of suspicious behavior:
      • Demonstrating an unusual interest in or unusual questions about security procedures, or engaging in overtly suspicious actions to provoke and observe responses by security or law enforcement officers;
      • Demonstrating an unusual interest in entry points, peak days and hours of operation, security personnel, surveillance assets (including cameras), and access controls such as alarms, barriers, doors, gates, or locks;
      • Demonstrating an unusual interest in security reaction drills or procedures;
      • multiple false alarms or fictitious emergency calls to same locations or similar venues;
      • Loitering, parking, or standing in the same area over multiple days with no reasonable explanation;
      • Unusual interest in speaking with building maintenance personnel or security guards;
      • Attention to or avoidance of surveillance cameras;
      • Interest without justification in obtaining site plans, ingress and egress routes, and information on employees or the public; and
      • Garments not appropriate for the weather or season without a reasonable explanation.

7. Suggested Protective Measures

........
[1]
Density functional theory data (PBE) for a geometry-optimized Li2CaTa2O7 structure.

Unit cell a=5.5681 b=18.4612 c=5.5092 alpha=90.00 beta=90.00 gamma=90.00
Last column: nearest neighbours and their distance in Å.
Space group Pnma (No. 62)
Inequivalent atoms, fractional coordinates:
Li1 0.0050 0.0130 0.2432 x8  5 O 1.99-2.22
Ca1 0.2103 0.2500 0.9998 x4  6 O 2.35-2.58
Ta1 0.2440 0.1379 0.5018 x8  5 O 1.88-2.06
O1 0.0287 0.6649 0.2821 x8  2 Ta 1.99-2.06
O2 0.0378 0.1325 0.2134 x8  2 Ta 1.96-2.02
O3 0.2280 0.7500 0.9218 x4  2 Ta 2.12, 1 Ca 2.35
O4 0.2449 0.0372 0.5460 x8  1 Ta 1.88, 2 Li 1.99-2.04

Offset from the most stable computed form (meV per atom): 0
E_form (eV per formula unit): -38.5

***

[2]
Density functional theory data (PBE) for a geometry-optimized ZnBiSbO5 structure.

Unit cell a=5.4340 b=12.1676 c=8.2999 alpha=90.00 beta=111.91 gamma=90.00
Last column: nearest neighbours and their distance in Å.
Space group P2_1/c (No. 14)
Inequivalent atoms, fractional coordinates:
Zn1 0.0535 0.0806 0.1701 x4  6 O 2.03-2.27
Bi1 0.4429 0.0970 0.8345 x4  5 O 2.19-2.40
Sb1 0.3231 0.6437 0.0347 x4  4 O 1.91-1.93
O1 0.1917 0.7075 0.4876 x4  1 Sb 1.93, 1 Zn 2.14
O2 0.1970 0.5586 0.1813 x4  1 Sb 1.91
O3 0.2569 0.0218 0.0145 x4  2 Zn 2.11-2.19, 2 Bi 2.19-2.28
O4 0.2713 0.5676 0.8228 x4  1 Sb 1.91
O5 0.3133 0.1825 0.3452 x4  1 Sb 1.91, 1 Zn 2.03

Total magnetic moment (μB/f.u.): 0.0
Offset from the most stable computed form (meV per atom): 21
E_form (eV per formula unit): -13.5

***

[3]
Density functional theory data (PBE) for a geometry-optimized KLiAs structure.

Unit cell a=14.5944 b=4.3116 c=12.8680 alpha=90.00 beta=90.00 gamma=90.00
Last column: nearest neighbours and their distance in Å.
Space group Pmma (No. 51)
Inequivalent atoms, fractional coordinates:
K1 0.0216 0.0000 0.1817 x4  1 As 3.14
Li1 0.1356 0.0000 0.4320 x4  2 As 2.43-2.49
As1 0.0348 0.0000 0.5826 x4  1 As 2.36, 2 Li 2.43-2.49

Total magnetic moment (μB/f.u.): 0.3
E_form (eV per formula unit): 0.5

***

[4]
Density functional theory data (PBE) for a geometry-optimized MnGaPt structure.

Unit cell a=4.3513 b=4.3513 c=5.5487 alpha=90.00 beta=90.00 gamma=120.00
Last column: nearest neighbours and their distance in Å.
Space group P6_3/mmc (No. 194)
Inequivalent atoms, fractional coordinates:
Mn1 0.0000 0.0000 0.0000 x2  2 Mn 2.77, 6 Pt 2.87, 6 Ga 2.87
Ga1 0.3333 0.6667 0.2500 x2  5 Pt 2.51-2.77
Pt1 0.3333 0.6667 0.7500 x2  5 Ga 2.51-2.77

E_form (eV per formula unit): -1.4

***

[5]
Density functional theory data (PBE) for a geometry-optimized YAlS3O12 structure.

Unit cell a=8.6901 b=8.6901 c=22.9262 alpha=90.00 beta=90.00 gamma=120.00
Last column: nearest neighbours and their distance in Å.
Space group P321 (No. 150)
Inequivalent atoms, fractional coordinates:
Y1 0.0000 0.0000 0.1047 x2  6 O 2.23-2.27
Y2 0.0000 0.0000 0.3860 x2  6 O 2.21-2.22
Y3 0.3333 0.6667 0.5684 x2  6 O 2.20-2.23
Al1 0.3333 0.6667 0.0667 x2  6 O 1.95-1.97
Al2 0.3333 0.6667 0.2651 x2  6 O 1.88
........
The records of crystals stop here:

      •  Increase visibility of armed security and law enforcement personnel in areas adjacent to and in front of security checkpoints to deter unwanted activity; 
      • Raise awareness among employees by conducting “all hazards” awareness training;
      • Establish liaison and regular communications with local, state, and federal law enforcement, emergency responders, and public health organizations to enhance information exchange or clarify emergency responses;
      • Report missing or stolen equipment, to include weapons, to the proper authorities; 
      • Raise community awareness of potential threats and vulnerabilities; and
      • Encourage employees, tenants, and visitors to report anything that appears to be odd or suspicious.